_Material_
- - -
The following is a quantum chemistry calculation of a single C8H10Br2O2S molecule in a non-equilibrium geometry, from the OMol25 dataset.

The geometry in XYZ format:
```
23
Properties=species:S:1:pos:R:3:forces:R:3
C -2.3225 -0.4617 -0.7475 -0.5 0.2 0.1
C -2.3789 0.4803 0.1871 -0.3 0.0 -0.2
C 3.6704 0.7833 -0.7177 0.1 0.2 0.1
C 2.6631 -0.0094 -1.0034 -0.8 0.1 0.1
C -1.4706 0.7875 1.3259 0.1 0.0 0.3
C -0.3874 -0.2493 1.6353 0.0 0.4 0.1
C -1.3319 -1.5231 -0.8248 3.3 1.3 2.2
C 0.3386 -0.6897 0.4133 -2.6 -1.2 -2.4
O 1.0220 1.8265 -0.0178 0.3 0.1 0.2
O 0.2863 0.4885 -1.9522 0.2 -0.1 -0.1
S 0.9873 0.5566 -0.6954 0.2 -0.3 -0.2
Br -3.7839 1.7635 0.0442 0.1 0.0 0.0
Br -1.7186 -3.1649 0.0398 -0.2 -0.2 0.0
H -3.0525 -0.4422 -1.5504 -0.1 0.0 0.0
H 4.6996 0.5296 -0.9175 0.1 -0.1 -0.1
H 3.4654 1.7390 -0.2639 0.0 0.2 0.1
H 2.7147 -0.9774 -1.4734 0.1 -0.2 -0.1
H -0.9849 1.7401 1.0874 -0.2 0.0 0.2
H -2.0770 0.9413 2.2224 0.0 0.1 -0.1
H 0.3146 0.2113 2.3412 -0.1 -0.1 0.0
H -0.8179 -1.1244 2.1332 0.1 0.0 -0.1
H -0.8391 -1.6728 -1.7736 -0.1 -0.1 0.0
H 1.0034 -1.5328 0.5078 0.2 -0.2 0.0
```
Positions in Å, forces in eV/Å.

Computed properties:
**Energy above the lowest of the compared OMol25 structures with the same formula, charge and spin**: 7.25 kcal per mole
**Spin multiplicity**: 1
**E**: -163469.68275 eV
**E_LUMO**: -0.009 eV
**Largest force on an atom**: 4.2 eV/Å
**HOMO**: -8.98 eV
**Molar mass**: 330.04 u
**Charge**: 0
- - -
_Wanted_
Now reproduce the whole of the material earlier on exactly.
_Worked solution_
The following is a quantum chemistry calculation of a single C8H10Br2O2S molecule in a non-equilibrium geometry, from the OMol25 dataset.

The geometry in XYZ format:
```
23
Properties=species:S:1:pos:R:3:forces:R:3
C -2.3225 -0.4617 -0.7475 -0.5 0.2 0.1
C -2.3789 0.4803 0.1871 -0.3 0.0 -0.2
C 3.6704 0.7833 -0.7177 0.1 0.2 0.1
C 2.6631 -0.0094 -1.0034 -0.8 0.1 0.1
C -1.4706 0.7875 1.3259 0.1 0.0 0.3
C -0.3874 -0.2493 1.6353 0.0 0.4 0.1
C -1.3319 -1.5231 -0.8248 3.3 1.3 2.2
C 0.3386 -0.6897 0.4133 -2.6 -1.2 -2.4
O 1.0220 1.8265 -0.0178 0.3 0.1 0.2
O 0.2863 0.4885 -1.9522 0.2 -0.1 -0.1
S 0.9873 0.5566 -0.6954 0.2 -0.3 -0.2
Br -3.7839 1.7635 0.0442 0.1 0.0 0.0
Br -1.7186 -3.1649 0.0398 -0.2 -0.2 0.0
H -3.0525 -0.4422 -1.5504 -0.1 0.0 0.0
H 4.6996 0.5296 -0.9175 0.1 -0.1 -0.1
H 3.4654 1.7390 -0.2639 0.0 0.2 0.1
H 2.7147 -0.9774 -1.4734 0.1 -0.2 -0.1
H -0.9849 1.7401 1.0874 -0.2 0.0 0.2
H -2.0770 0.9413 2.2224 0.0 0.1 -0.1
H 0.3146 0.2113 2.3412 -0.1 -0.1 0.0
H -0.8179 -1.1244 2.1332 0.1 0.0 -0.1
H -0.8391 -1.6728 -1.7736 -0.1 -0.1 0.0
H 1.0034 -1.5328 0.5078 0.2 -0.2 0.0
```
Positions in Å, forces in eV/Å.

Computed properties:
**Energy above the lowest of the compared OMol25 structures with the same formula, charge and spin**: 7.25 kcal per mole
**Spin multiplicity**: 1
**E**: -163469.68275 eV
**E_LUMO**: -0.009 eV
**Largest force on an atom**: 4.2 eV/Å
**HOMO**: -8.98 eV
**Molar mass**: 330.04 u
**Charge**: 0